Introduction Dr. Bernard Chen Ph.D. University of Central Arkansas Spring 2009
2 What Is Computer Architecture? Computer Architecture = Instruction Set Architecture + Machine Organization
3 Instruction Set Architecture ISA = attributes of the computing system as seen by the programmer Organization of programmable storage Data types & data structures Instruction set Instruction formats Modes of addressing Exception handling
4 Machine Organization Capabilities & performance characteristics of principal functional units (e.g., registers, ALU, shifters, logic units) Ways in which these components are interconnected Information flow between components Logic and means by which such information flow is controlled
What is “Computer” A computer is a machine that performs computational tasks using stored instructions.
A computer consist of … ? 1) Central processing unit (CPU); 2) Random access memory (RAM); 3) Input-output processors (IOP). These devices communicate to each other through a set of electric wires called bus.
CPU consists of > Arithmetic logic unit (ALU): Executes arithmetic (addition, multiplication,...) and logical (AND, OR,...) operations. > Control unit: Generates a sequence of control signals (cf. traffic signal) telling the ALU how to operate; reads and executes microprograms stored in a read only memory (ROM). > Registers: Fast, small memory for temporary storage during mathematical operations.
RAM stores > Program: A sequence of instructions to be executed by the computer Data
9 History of Computers The world’s first general- purpose electronic computer was ENIAC built by Eckert and Mauchly at the University of Pennsylvania during World War II. However, rewiring this computer to perform a new task requires days of work by a number of operators. ENIAC built by Eckert and Mauchly at the University of Pennsylvania during World War II
10 The first practical stored- program computer was EDSAC built in 1949 by Wilkes of Cambridge University. Now the program in addition to data is stored in the memory so that different problems can be solved without hardware rewiring anymore. The first practical stored-program computer
11 Eckert and Mauchly later went to business, and built the first commercial computer in the United States, UNIVAC I, in UNIVAC I
12 IBM System/360 series A commercial breakthrough occurred in 1964 when IBM introduced System/360 series. The series include various models ranging from $225K to $1.9M with varied performance but with a single instruction set architecture.
13 Supercomputers The era of vector supercomputers started in 1976 when Seymour Cray built Cray-1 Vector processing is a type of parallelism which speeds up computation. We will learn related concept of pipelining in this course. In late 80’s, massively parallel computers such as the CM-2 became the central technology for supercomputing.
14 Another important development is the invention of the microprocessor--a computer on a single semiconductor chip. Microprocessors
15 Microprocessor
16 Microprocessors enabled personal computers such as the Apple II (below) built in 1977 by Steve Jobs and Steve Wozniak. personal computers
17 In 1965, Gordon Moore predicted that the number of transistors per integrated circuit would double every 18 months. This prediction, called "Moore's Law," continues to hold true today. The table below shows the number of transistors in several microprocessors introduced since Moore’s Law
18 Moore’s Law Still Holds ’60’65’70’75’80’85’90’95’00’05’10 Transistors Per Die 1K 4K 16K 64K 256K 1M 16M 4M 64M i386™ i486™ Pentium ® Memory Microprocessor Pentium ® II Pentium ® III 256M Pentium ® 4 Itanium ® 1G 2G 4G 128M Source: Intel M
19 Digital Systems - Analog vs. Digital Analog vs. Digital: Continuous vs. discrete. Results--- Digital computers replaced analog computers
Digital Advantages More flexible (easy to program), faster, more precise. Storage devices are easier to implement. Built-in error detection and correction. Easier to minimize.
21 Binary System Digital computers use the binary number system. Binary number system: Has two digits: 0 and 1. Reasons to choose the binary system: 1. Simplicity: A computer is an “idiot” which blindly follows mechanical rules; we cannot assume any prior knowledge on his part. 2. Universality: In addition to arithmetic operations, a computer which speaks a binary language can perform any tasks that are expressed using the formal logic.
Example Adding two numbers High-level language (C) c = a + b; Assembly language LDA 004 ADD 005 STA 006 Machine language
23 Since the need is great for manipulating the relations between the functions that contain the binary or logic expression, Boolean algebra has been introduced. The Boolean algebra is named in honor of a pioneering scientist named: George Boole. A Boolean value is a 1 or a 0. A Boolean variable takes on Boolean values. A Boolean function takes in Boolean variables and produces Boolean values. Boolean algebra
24 Boolean or logic operations 1. OR. This is written + (e.g. X+Y where X and Y are Boolean variables) and often called the logical sum. OR is called binary operator. 2. AND. Called logical product and written as a centered dot (like product in regular algebra). AND is called binary operator. 3. NOT. This is a unary operator (One argument), NOT(A) is written A with a bar over it or use ' instead of a bar as it is easier to type. 4. Exclusive OR (XOR). Written as + with circle around it . It is also a binary operator. True if exactly one input is true (i.e. true XOR true = false).
26 Important identities of Boolean ALGEBRA. Identity: A+0 = 0+A = A A.1 = 1.A = A Inverse: A+A' = A'+A = 1 A.A' = A'.A = 0 (using ' for not) + for OR. for AND
Important identities of Boolean ALGEBRA Associative: A+(B+C) = (A+B)+C A.(B.C)=(A.B).C Due to associative law we can write A.B.C since either order of evaluation gives the same answer. Often elide the. so the product associative law is A(BC)=(AB)C
## Materials data, as found in the file
____________
(1)
# SiTe2P

A relaxed structure of SiTe2P (GGA-PBEsol, Alexandria).

abc: 7.680 7.680 7.680
angles: 153.44 151.47 39.37
Element x y z (fractional)
1 Si 0.000 0.000 0.000
2 Te 0.419 0.419 0.000
3 Te 0.689 0.189 0.500
4 P 0.125 0.625 0.500

Results
* M_tot: 0.0 μB/cell
* raw total energy: -4.382 eV/atom
* ΔE_f (raw): 0.265 eV per atom

=====

(2)
# SiTeP2

A relaxed structure of SiTeP2 (GGA-PBEsol, Alexandria).

abc: 6.083 6.083 6.083
angles: 115.93 115.93 97.21
Element x y z (fractional)
1 Si 0.000 0.000 0.000
2 Si 0.750 0.250 0.500
3 Te 0.250 0.750 0.500
4 Te 0.500 0.500 0.000
5 P 0.067 0.125 0.442
6 P 0.375 0.933 0.058
7 P 0.683 0.625 0.558
8 P 0.875 0.317 0.942

Results
* M_tot: 0.0 μB/cell
* relative energy among the computed polymorphs: 47 kJ/mol of formula units
* raw total energy: -4.978 eV/atom
* ΔE_f (raw): 0.236 eV per atom

=====

(3)
# SiTeP2

A relaxed structure of SiTeP2 (GGA-PBEsol, Alexandria).

abc: 6.676 6.676 6.676
angles: 31.59 31.59 31.59
Element x y z (fractional)
1 Si 0.000 0.000 0.000
2 Te 0.500 0.500 0.500
3 P 0.266 0.266 0.266
4 P 0.734 0.734 0.734
____________
## So much for the materials data
Important identities of Boolean ALGEBRA Distributive: A(B+C)=AB+AC Similar to math. A+(BC)=(A+B)(A+C) Contradictory to math. How does one prove these laws?? Simple (but long) write the Truth Tables for each and see that the outputs are the same.
29 Important identities of Boolean ALGEBRA.